Source
/*
[1]
{
  "formula": "C55H59BrInN7O5S2",
  "method": "ωB97M-V/def2-TZVPD",
  "homo_energy_ev": -7.34,
  "orbital_gap_ev": 7.588,
  "energy_ev": -175550.7928,
  "e_above_lowest_kcal_mol": 0.0,
  "charge": 0,
  "elements": ["In", "C", "C", "C", "O", "C", "C", "O", "C", "O", "C", "C", "C", "C", "C", "C", "C", "C", "C", "C", "C", "C", "C", "O", "C", "C", "C", "C", "C", "C", "C", "C", "C", "C", "C", "C", "H", "H", "H", "H", "H", "H", "H", "H", "H", "H", "H", "H", "H", "H", "H", "H", "H", "H", "H", "H", "H", "H", "H", "H", "H", "H", "H", "H", "C", "C", "N", "C", "C", "C", "S", "N", "C", "O", "C", "C", "C", "C", "C", "C", "H", "H", "H", "H", "H", "H", "H", "H", "H", "H", "H", "H", "H", "H", "H", "C", "N", "C", "C", "N", "C", "S", "H", "H", "H", "H", "H", "H", "C", "N", "C", "C", "N", "H", "H", "H", "H", "H", "H", "Br", "C", "C", "C", "C", "N", "C", "H", "H", "H", "H"],
*/

Activity
Your job: transcribe the lines above from the one with "[1]" to the one with "charge" verbatim.

Response
[1]
{
  "formula": "C55H59BrInN7O5S2",
  "method": "ωB97M-V/def2-TZVPD",
  "homo_energy_ev": -7.34,
  "orbital_gap_ev": 7.588,
  "energy_ev": -175550.7928,
  "e_above_lowest_kcal_mol": 0.0,
  "charge": 0,